Count the lines below that contain the word "the" and give the number alone, please.

********
Here is a 6-piece molecular cluster, C24H45BN6O14S3 overall from OMol25. Energies are from the ωB97M-V functional and the def2-TZVPD basis.

```
! wB97M-V def2-TZVPD RIJCOSX def2/J DEFGRID3
* xyz 0 1
B -0.931 -3.226 -0.893
H -0.968 -4.821 0.539
C -2.876 1.282 -2.576
H -0.765 -0.212 -8.701
C -3.938 0.396 -1.960
H -4.389 -1.208 0.386
C 4.569 -2.631 6.928
C -1.052 3.061 -3.759
H 0.567 8.030 -1.249
S 1.119 -4.367 -2.502
C -2.713 -1.349 -0.941
N 5.155 -1.775 5.861
C -2.430 -2.862 -1.185
H 4.819 -2.175 7.883
H -3.097 -3.423 -0.529
C 7.766 0.387 8.271
H 2.142 -4.350 -1.611
O -5.382 2.476 -7.108
H -2.440 4.616 -3.120
O 0.327 -5.557 -2.359
O -3.622 -0.975 -1.958
H -4.002 3.052 -2.116
O 4.405 -1.291 5.045
O -4.006 0.950 -6.461
H 1.658 0.388 2.587
H 8.764 0.798 8.175
H -0.444 -0.779 5.131
H 7.034 1.172 8.432
C -1.712 0.806 -3.163
C 0.916 -3.876 0.929
H 2.371 -2.565 -0.037
C -0.760 -0.198 -7.615
H 0.941 -1.732 0.618
C -0.564 -3.802 0.521
H 0.101 2.147 2.633
H -1.274 -2.109 4.280
H 1.396 0.276 4.315
H -3.090 3.484 -7.784
H -3.054 -0.177 0.830
H -4.838 0.504 -2.565
C -0.835 -1.126 4.171
C 1.654 -2.538 0.778
H -1.763 -0.042 -7.221
O 8.741 -0.646 10.103
O 0.033 5.921 -2.252
N 0.266 -1.102 3.202
C 0.896 0.247 3.342
H -2.271 2.608 -6.457
C -3.183 3.094 -6.775
H -0.314 1.775 4.302
H 1.390 -4.693 0.388
H 0.949 -4.181 1.972
C -0.810 1.694 -3.745
O 1.709 -4.147 -3.795
N -0.866 6.688 -1.994
H -1.132 -3.253 1.277
C -0.180 1.343 3.304
H -1.017 8.046 -0.414
C 1.241 -2.062 3.448
O -1.432 0.872 2.861
N 7.727 -0.509 9.457
H -0.857 8.776 -2.038
C -2.203 3.559 -3.150
H 0.684 -2.082 -1.940
H -0.316 -1.100 -7.213
H -3.463 3.879 -6.079
N 0.069 0.962 -7.188
H -2.624 -0.749 3.047
O -0.293 2.066 -7.545
C -1.926 -0.179 3.656
H -0.473 -2.821 -3.011
C 0.099 -2.990 -2.100
N -4.281 2.091 -6.781
H -1.510 -0.256 -3.171
H -2.500 0.211 4.503
C -0.509 7.993 -1.372
C -3.305 -1.175 0.466
O 6.361 -1.621 5.886
H 3.497 -2.676 6.778
H -0.367 3.750 -4.230
S 1.238 -3.159 4.649
H 5.021 -3.614 6.839
H -1.760 -0.815 -1.010
O 1.043 0.735 -6.504
H 7.507 -0.217 7.407
H -4.188 0.789 -0.971
S 2.593 -2.087 2.278
C -3.100 2.664 -2.576
O -2.047 6.490 -2.201
H -2.922 -1.921 1.151
H -2.735 -3.124 -2.198
O 6.664 -1.050 9.695
H 0.096 1.320 -4.200
*
```

Calculated values
Energy (hartree): -3542.24656
SMILES: C[C@@H](CB(CCCSC(=S)N1CCOCC1)C[SH](=O)=O)OCc1ccccc1.C[N+](=O)[O-].C[N+](=O)[O-].C[N+](=O)[O-].C[N+](=O)[O-].C[N+](=O)[O-]

=====

Below is 7 unconnected molecules or ions with the total composition C48H47INO13 in a non-equilibrium geometry, with properties calculated with ωB97M-V/def2-TZVPD.

E_HOMO (spin up / spin down) = -8.9 / -9.2 eV
LUMO energy (spin up / spin down) = -1.83 / -1.83 eV
orbital gap (spin up / spin down) = 7.1 / 7.4 eV

```
! RIJCOSX wB97M-V def2-TZVPD def2/J DEFGRID3
* xyz 0 2
I 6.247 3.931 2.010
O -4.008 -5.819 -1.222
O 4.729 -9.429 -3.003
O -1.748 -2.567 -4.740
O -5.534 -3.034 -11.019
O -3.495 7.295 5.004
O -1.516 2.564 5.266
O 2.755 -0.585 1.529
O 3.704 -4.431 -1.581
O -5.151 -1.360 -6.012
O 1.216 -0.598 -8.438
O 2.358 -4.844 -5.491
O -0.011 -5.015 0.657
O -3.071 10.884 8.870
N -0.815 2.973 4.254
C 3.295 3.671 2.594
C 2.100 -3.869 -6.173
C 2.184 -2.302 0.028
C -3.167 10.062 7.983
C -0.919 0.819 3.086
C -6.462 -2.422 -7.652
C 4.766 -6.465 -1.055
C 3.410 -6.139 -3.170
C -2.969 8.619 8.250
C -3.489 10.464 6.595
C -5.446 -2.650 -9.872
C 1.490 -3.417 -0.190
C -1.140 5.389 4.464
C 0.041 1.836 3.841
C -0.082 4.211 4.579
C 1.065 4.565 3.592
C -2.066 -4.683 -1.903
C -3.597 9.561 5.622
C 1.254 -2.184 2.380
C 2.267 -2.697 -8.316
C -3.490 -5.074 -2.026
C 1.480 -1.570 -7.763
C 4.904 2.998 4.541
C 0.560 -3.299 2.161
C -3.687 -3.705 -4.051
C 4.580 2.916 3.031
C 2.036 3.336 3.437
C 2.554 -3.767 -7.577
C 0.625 -3.999 0.859
C -6.556 -2.844 -8.912
C -1.498 -3.865 -2.789
C 5.022 -7.722 -1.413
C 2.120 -1.602 1.329
C 3.667 -7.397 -3.526
C 4.493 -8.284 -2.678
C -4.226 -1.972 -9.380
C 1.154 2.195 2.822
C 0.471 4.303 6.035
C -5.241 -1.743 -7.161
C 1.318 -2.745 -5.620
C -4.256 -4.522 -3.166
********

2